Staying Found: On-Trail Navigation - 2024

Navigation, Backpacking & Day Hiking Course

Staying Found: On-Trail Navigation

This course is focused on learning and practicing key skills to maintain an ongoing awareness of where you are and how to find yourself if you get lost on even the most complicated trail system.

This course, tailored to on-trail adventurers, is designed to help students become confident reading a topographic map, using a compass and altimeter, and maintaining awareness of their location on a trail. Students will receive detailed information on skills and tools, as well as hands-on practice on the trail. Basic digital navigation instruction using Gaia will be included. Students must complete the following components to graduate from the class and receive an On-Trail Navigation badge:

  • The evening online instructional seminar on May 14, 6:30-9:00 p.m.  Register for the seminar. 
  • field trip on May 18 or May 19 at 9:00 a.m. held outdoors at Tiger Mountain State Forest. You will need to register for one field trip, which includes map and compass exercises, a trip planning exercise, and  a hike to apply the skills you have learned. 
  • The online Low Impact Recreation course (completed at your leisure).

An optional navigation hike to practice your navigation skills will be offered after the field trip. Date, time, and location will be announced by email after the field trips are completed.

Between two parts of the entry: crystal structures:
/*
{"formula": "ThSc", "functional": "r2SCAN", "state": "relaxed", "crystal_system": "trigonal", "cell": [[-4.118, 3.243, -2.438], [-5.312, 2.184, 0.659], [-3.092, 4.862, 0.471]], "species": ["Th", "Sc"], "frac_coords": [[0.500, 0.500, 0.500], [0.000, 0.000, 0.000]]}

***

{"formula": "NdRe2", "functional": "r2SCAN", "state": "relaxed", "crystal_system": "hexagonal", "cell": [[2.754, -4.770, 0.000], [2.754, 4.770, 0.000], [0.000, 0.000, 8.905]], "species": ["Re", "Re", "Re", "Re", "Re", "Re", "Re", "Re", "Nd", "Nd", "Nd", "Nd"], "frac_coords": [[0.000, 0.000, 0.500], [0.170, 0.830, 0.750], [0.170, 0.340, 0.750], [0.000, 0.000, 0.000], [0.830, 0.170, 0.250], [0.340, 0.170, 0.250], [0.660, 0.830, 0.750], [0.830, 0.660, 0.250], [0.333, 0.667, 0.062], [0.667, 0.333, 0.562], [0.333, 0.667, 0.438], [0.667, 0.333, 0.938]]}

***

{"formula": "Mg14CoW", "functional": "r2SCAN", "state": "relaxed", "crystal_system": "orthorhombic", "cell": [[6.194, 0.085, 0.000], [-3.023, 5.237, 0.000], [0.000, 0.000, 9.857]], "species": ["Mg", "Mg", "Mg", "Mg", "Mg", "Mg", "Mg", "Mg", "Mg", "Mg", "Mg", "Mg", "Mg", "Mg", "Co", "W"], "frac_coords": [[0.326, 0.161, 0.355], [0.663, 0.335, 0.125], [0.663, 0.828, 0.125], [0.326, 0.665, 0.895], [0.664, 0.330, 0.625], [0.855, 0.177, 0.889], [0.167, 0.333, 0.625], [0.855, 0.177, 0.361], [0.847, 0.674, 0.880], [0.847, 0.674, 0.370], [0.326, 0.665, 0.355], [0.167, 0.833, 0.625], [0.664, 0.834, 0.625], [0.326, 0.161, 0.895], [0.155, 0.328, 0.125], [0.148, 0.824, 0.125]]}

***

| no. | calculated formation energy (eV per formula unit) |
| --- | --- |
| 1 | 0.2 |
| 2 | 0.0 |
| 3 | 3.5 |

=====

1.
Density functional theory data (GGA+U) for crystalline V3Co3Te2O16 at its relaxed geometry.

```
24
Lattice="5.869 0.000 0.000 -2.853 5.166 0.000 -0.038 -0.294 10.101" Properties=species:S:1:pos:R:3 pbc="T T T"
V 0.000 0.000 0.000
V -1.321 2.502 9.892
V -0.111 1.816 5.229
Co 2.763 -0.092 9.758
Co 2.771 1.806 5.121
Co 1.449 4.295 5.079
Te -1.435 4.448 3.083
Te 1.467 2.573 7.762
O 0.031 0.104 4.158
O -1.423 2.783 4.140
O -1.619 4.132 8.914
O -0.054 1.719 8.730
O 1.211 0.819 0.912
O -0.195 3.514 0.862
O 0.045 3.229 6.439
O 1.290 1.083 6.393
O 1.299 2.471 4.136
O 2.904 0.087 3.939
O 2.834 1.685 8.746
O 1.446 4.206 8.756
O 2.685 3.300 6.412
O 4.347 1.077 0.517
O 4.323 0.986 5.916
O 3.003 3.668 0.876
```

ΔE_f in eV/atom: -1.698
Total energy after the MP2020 corrections in Ry/atom: -0.5353


2.
Density functional theory data (GGA+U) for crystalline V2Co3Te3O16 at its relaxed geometry.

```
24
Lattice="5.356 -3.061 0.000 5.356 3.061 0.000 -0.236 0.000 9.212" Properties=species:S:1:pos:R:3 pbc="T T T"
V 0.000 0.000 0.000
V 7.140 0.000 4.207
Co 4.620 1.533 2.422
Co 5.511 0.000 6.978
Co 4.620 -1.533 2.422
Te 2.830 1.538 6.888
Te 1.937 0.000 2.310
Te 2.830 -1.538 6.888
O 2.706 1.562 3.325
O 0.261 0.000 3.317
O 4.480 1.540 7.883
O 1.974 0.000 7.880
O 6.393 1.801 1.029
O 3.687 0.000 1.489
O 3.656 0.000 5.873
O 6.624 1.340 5.784
O 2.706 -1.562 3.325
*/

Readings will be assigned from the Modern Wilderness Navigation pdf found in the course materials.

Additional Course Materials will be uploaded by March 10th.


  • Please sign up for one field trip only. If the field trip you would like is filled, select another.  Do not add yourself to the waitlist.
  • The options are Easy Peasy (easy), Swamp Foot (easy), Talus Rocks (moderate), and Great Adventure (moderate), from easiest to hardest. The routes are 3-5 miles with varying levels of elevation gain.
  • Each route will be offered at  9 a.m. on Saturday and Sunday.
  • The field trip will take 5-6 hours. 

Badges you will earn:

Course Requirements

This course has no scheduled activities.

Additional badges needed to graduate


Required Equipment

For the online seminar:

  • Baseplate Compass with adjustable declination (see  Mountaineers Information Sheet)
  • Green Trails Tiger Mountain map #204S

For the field trip:

  • Baseplate Compass with adjustable declination 
  • Green Trails Tiger Mountain map #204S
  • A 1-gallon ziplock bag to protect your map
  • Smartphone with GaiaGPS loaded
  • Whistle or other emergency communication device
  • Day Pack
  • Outdoor gear, including hiking shoes and rain gear  
  • Lunch, water, snacks
  • Course packet
  • Pen or pencil to take notes